## Given
/*
Entry from the OMol25 dataset: C27H19Cl2F6N3O5PS2W as an isolated structure (ωB97M-V with the def2-TZVPD basis set).

HOMO energy = -17.50 eV
Total charge = +3
Spin multiplicity = 1
Lowest unoccupied orbital energy = -10.889 eV
F_max = 0.73 eV Å⁻¹
E_tot = -4304.07283 Ha

XYZ file:
```
66
Properties=species:S:1:pos:R:3:forces:R:3
W -0.8206 0.6726 -0.4250 -0.66 -0.27 0.15
F -5.2073 0.4235 -1.6668 0.02 0.00 0.04
C -4.4494 1.0628 -0.8194 -0.09 -0.01 -0.07
F -5.1634 1.7113 0.0656 0.00 0.01 0.00
F -3.6570 0.1759 -0.1616 0.02 0.03 0.04
S -3.3608 2.2883 -1.7526 0.17 0.11 0.05
O -2.0017 1.5889 -1.8213 0.04 0.04 -0.01
O -3.9503 2.5322 -3.0031 0.05 0.00 0.03
N -3.2224 3.5215 -0.8051 0.10 -0.10 -0.05
S -2.0554 3.5127 0.2359 -0.08 -0.18 0.09
O -1.8601 2.0478 0.7057 -0.12 0.26 -0.04
O -0.8511 4.1722 -0.1089 0.05 -0.01 0.01
C -2.8096 4.2697 1.7716 -0.03 -0.04 -0.04
F -3.0573 5.5215 1.5132 0.00 0.02 0.01
F -3.9059 3.6017 2.0649 0.01 0.00 0.00
F -1.9134 4.1318 2.7294 0.02 0.01 -0.01
O -2.7594 -0.6957 -2.4705 0.04 -0.01 0.01
N -1.6341 -1.1257 -1.7857 -0.03 -0.03 0.03
C -1.2382 -2.3035 -2.1094 0.02 -0.02 0.01
C -0.1097 -3.0961 -1.6489 -0.08 0.03 -0.05
C 0.0756 -4.2976 -2.3278 0.05 -0.04 0.02
C 1.1205 -5.1547 -1.9921 -0.04 0.02 -0.03
C 1.9819 -4.8199 -0.9656 0.03 0.01 0.03
C 1.8092 -3.6238 -0.2685 -0.02 -0.01 -0.03
C 0.7709 -2.7638 -0.6042 0.02 -0.05 0.01
P 0.5719 -1.2968 0.3696 0.17 0.05 -0.25
C 2.0622 -0.8688 1.2292 0.06 0.02 0.01
C 3.1888 -0.5432 0.4632 0.00 0.00 -0.01
C 4.3727 -0.2242 1.1028 -0.01 0.00 0.03
C 4.4317 -0.2244 2.4937 0.02 0.01 -0.01
C 3.3168 -0.5586 3.2509 -0.03 -0.01 0.00
C 2.1240 -0.8864 2.6246 0.02 0.00 0.01
C -0.8461 -1.3219 1.4265 0.02 -0.06 -0.09
C -1.0772 -0.0412 1.9836 -0.12 0.10 0.37
C -2.2907 0.1883 2.6819 0.02 -0.06 -0.02
C -3.2192 -0.8147 2.7809 0.00 -0.04 -0.03
C -2.9925 -2.0607 2.1625 0.01 0.04 0.00
C -1.8336 -2.3094 1.4534 -0.03 0.00 0.08
H -3.0735 -1.4092 -3.0516 -0.02 0.02 -0.01
H -1.8301 -2.8134 -2.8700 0.01 -0.01 0.00
H -0.5974 -4.5721 -3.1307 0.00 0.00 0.00
H 1.2498 -6.0805 -2.5361 0.00 0.00 0.00
*/

## Assignment
Please set down everything further up character by character.

## Reply
Entry from the OMol25 dataset: C27H19Cl2F6N3O5PS2W as an isolated structure (ωB97M-V with the def2-TZVPD basis set).

HOMO energy = -17.50 eV
Total charge = +3
Spin multiplicity = 1
Lowest unoccupied orbital energy = -10.889 eV
F_max = 0.73 eV Å⁻¹
E_tot = -4304.07283 Ha

XYZ file:
```
66
Properties=species:S:1:pos:R:3:forces:R:3
W -0.8206 0.6726 -0.4250 -0.66 -0.27 0.15
F -5.2073 0.4235 -1.6668 0.02 0.00 0.04
C -4.4494 1.0628 -0.8194 -0.09 -0.01 -0.07
F -5.1634 1.7113 0.0656 0.00 0.01 0.00
F -3.6570 0.1759 -0.1616 0.02 0.03 0.04
S -3.3608 2.2883 -1.7526 0.17 0.11 0.05
O -2.0017 1.5889 -1.8213 0.04 0.04 -0.01
O -3.9503 2.5322 -3.0031 0.05 0.00 0.03
N -3.2224 3.5215 -0.8051 0.10 -0.10 -0.05
S -2.0554 3.5127 0.2359 -0.08 -0.18 0.09
O -1.8601 2.0478 0.7057 -0.12 0.26 -0.04
O -0.8511 4.1722 -0.1089 0.05 -0.01 0.01
C -2.8096 4.2697 1.7716 -0.03 -0.04 -0.04
F -3.0573 5.5215 1.5132 0.00 0.02 0.01
F -3.9059 3.6017 2.0649 0.01 0.00 0.00
F -1.9134 4.1318 2.7294 0.02 0.01 -0.01
O -2.7594 -0.6957 -2.4705 0.04 -0.01 0.01
N -1.6341 -1.1257 -1.7857 -0.03 -0.03 0.03
C -1.2382 -2.3035 -2.1094 0.02 -0.02 0.01
C -0.1097 -3.0961 -1.6489 -0.08 0.03 -0.05
C 0.0756 -4.2976 -2.3278 0.05 -0.04 0.02
C 1.1205 -5.1547 -1.9921 -0.04 0.02 -0.03
C 1.9819 -4.8199 -0.9656 0.03 0.01 0.03
C 1.8092 -3.6238 -0.2685 -0.02 -0.01 -0.03
C 0.7709 -2.7638 -0.6042 0.02 -0.05 0.01
P 0.5719 -1.2968 0.3696 0.17 0.05 -0.25
C 2.0622 -0.8688 1.2292 0.06 0.02 0.01
C 3.1888 -0.5432 0.4632 0.00 0.00 -0.01
C 4.3727 -0.2242 1.1028 -0.01 0.00 0.03
C 4.4317 -0.2244 2.4937 0.02 0.01 -0.01
C 3.3168 -0.5586 3.2509 -0.03 -0.01 0.00
C 2.1240 -0.8864 2.6246 0.02 0.00 0.01
C -0.8461 -1.3219 1.4265 0.02 -0.06 -0.09
C -1.0772 -0.0412 1.9836 -0.12 0.10 0.37
C -2.2907 0.1883 2.6819 0.02 -0.06 -0.02
C -3.2192 -0.8147 2.7809 0.00 -0.04 -0.03
C -2.9925 -2.0607 2.1625 0.01 0.04 0.00
C -1.8336 -2.3094 1.4534 -0.03 0.00 0.08
H -3.0735 -1.4092 -3.0516 -0.02 0.02 -0.01
H -1.8301 -2.8134 -2.8700 0.01 -0.01 0.00
H -0.5974 -4.5721 -3.1307 0.00 0.00 0.00
H 1.2498 -6.0805 -2.5361 0.00 0.00 0.00